This woman has done nothing but pure Kino in movies, tv shows music and interviews

>This woman has done nothing but pure Kino in movies, tv shows music and interviews
>Only worth 2 million net worth
We need to do something

XXX3 was pure garbage

Go watch capeshit then faggot

Would you let her peg you're boipussy?


>if you don't like X you must like Y
Imagine how much you must HATE being you

is this the new funny tee vee mee me that we spread around beat into the ground and will always remain funny to the point where it gets ported to other boards?

Fuck off memebot

The only thing new here is you friendo

Good since I can appreciate kino, rather than literal capeshit michael bay

Just fuck of redditscum

t. Reddit

But you watch capeshit, you are by definition redditscum

No you watch capeshit faggot

Adleast I didint come from the backwaters of reddit
fuck off back there

Prove it redditor

Do you have brain damage?
You said a literal kino movie was shit

There are 4 posters in this thread you absolute retard


They made more than 1 movie?

>memeing faggot
>memeing faggot
>(((you))) also memeing faggot, and faggot

Stay mad retard

Before I finally dismiss you as a retard you are,
Why dont you like ruby rosegod?
Why didn't you like XXX3

The masses are stupid.

Didn't you get taught lowest commen denominator in basic algebra, you fuck?

I already explained that I'm not him you LITERAL retard.


>The masses are stupid.
^^^^^^^ This +1000

And why should I believe you? or him?

I honestly don't care anymore. Live in your delusion retard

i'd pay for it desu

itt: op goes full socially needy

she's not attracted to guys you virgin

no joke i can pull her if we were in the same room
i have this power over lesbos

Her girlfriend would smash your face in

no one is surprised lesbians are mentally broken

>Woman defends her girl from man trying to take her
>See? lesbian women are violent!
Any mamal species defends their young or their females from twisted malfunctioning possed animals like yourself
Chimpanzees would break your neck
Wolves would gnaw on your legs
Grizzly Bears would cave your head in

Where do I find an androgynous gf to watch kino with me?

oh sweet summer child, its still not surprising to anyone that lesbians are mentally broken

she has nudes you know

Why do suddenly so many movie cuties turn out to be lesbians?

it signals to the wealthy who would be willing to buy her as a high class prostitute ass that she is willing to do some girl on girl

Its almost like they get raped by old jewish executives in order to get roles so they no longer feel comfortable being sexual with men.

return of xander cage was 10 times worse than any capeshit movie, it was even worse than the recent F&F movies

Why do so many Anons like these boyish lesbians like Cara Delevengne and Karlie Kloss? Is it because the Anons are latent homosexuals?

If it wasn't for her tattoos she'd be incredibly hot.

its actually underage females falling for the lesbian meme. if you think this is 2006 and everyone on the net is a male, you need to join the rest of us in the future. Sup Forums itself is underage users with most being edgy teen girls who got indoctrinated to behave how tv shows portray males. get with the times, gramps

>Only worth 2 million net worth

-- begin --
The following is a PBE+U calculation of a geometry-optimized Co3O4F2 structure, from the Materials Project.

As for the total energy: -96.920 eV/cell.

Cell: 4.5725 5.4130 7.4884 Å, 84.46 85.33 84.82°
Space group P-1 (No. 2)
Symmetry-distinct sites (fractional):
Co: 0.0000 0.0000 0.0000
Co: 0.0092 0.6756 0.3342
Co: 0.4584 0.1399 0.3181
Co: 0.5000 0.5000 0.0000
O: 0.1771 0.9578 0.2193
O: 0.3038 0.1253 0.5648
O: 0.3046 0.4640 0.2290
O: 0.3077 0.8012 0.8985
F: 0.1910 0.6178 0.5727
F: 0.1920 0.2819 0.9124

The following is a PBE+U calculation of a geometry-optimized Co6O5F7 structure, from the Materials Project.

As for the total energy: -190.405 eV/cell.

Cell: 6.3654 6.8906 9.0644 Å, 90.00 90.21 90.00°
Space group C2 (No. 5)
Symmetry-distinct sites (fractional):
Co: 0.0000 0.0000 0.0000
Co: 0.0000 0.4707 0.5000
Co: 0.0021 0.9686 0.6570
Co: 0.0369 0.4624 0.8401
O: 0.0000 0.2889 0.0000
O: 0.1789 0.9756 0.1795
O: 0.1922 0.9677 0.4989
F: 0.0000 0.6705 0.0000
F: 0.0052 0.6623 0.6683
F: 0.0079 0.2753 0.6678
F: 0.2124 0.9738 0.8176

The following is a PBE+U calculation of a geometry-optimized Co3O4F2 structure, from the Materials Project.

As for the total energy: -97.818 eV/cell.

Cell: 5.4401 5.4536 6.8192 Å, 74.84 74.57 77.30°
Space group P-1 (No. 2)
Symmetry-distinct sites (fractional):
Co: 0.0000 0.0000 0.0000
Co: 0.0000 0.0000 0.5000
Co: 0.2969 0.3735 0.1678
Co: 0.3220 0.3322 0.6723
O: 0.0186 0.6609 0.1632
O: 0.0931 0.1137 0.2018
O: 0.2184 0.2418 0.4636
O: 0.4306 0.4342 0.8731
F: 0.3207 0.7002 0.4898
F: 0.3705 0.9563 0.8347

The following is a PBE+U calculation of a geometry-optimized Co3OF5 structure, from the Materials Project.

As for the total energy: -92.861 eV/cell.

Cell: 5.6604 5.6790 7.4171 Å, 72.92 72.67 71.97°
Space group P1 (No. 1)
Symmetry-distinct sites (fractional):
Co: 0.0000 0.0000 0.0000
Co: 0.0116 0.9938 0.5119
Co: 0.3165 0.3052 0.6635
Co: 0.3293 0.3225 0.1863
Co: 0.6684 0.6545 0.3410
Co: 0.6939 0.6177 0.8371
O: 0.2361 0.2226 0.4673
O: 0.9674 0.3444 0.8364
F: 0.0298 0.6333 0.1669
F: 0.1054 0.0875 0.2079
F: 0.3035 0.6777 0.5099
F: 0.3782 0.9359 0.8346
F: 0.4320 0.4111 0.8765
F: 0.5718 0.5500 0.1338
F: 0.6389 0.0163 0.1703
F: 0.6951 0.2891 0.5113
F: 0.7687 0.7558 0.5440
F: 0.8964 0.8767 0.8065

The following is a PBE+U calculation of a geometry-optimized Co6O5F7 structure, from the Materials Project.

As for the total energy: -95.072 eV/cell.

Cell: 4.6113 5.5573 7.6976 Å, 92.47 92.27 90.12°
Space group P1 (No. 1)
Symmetry-distinct sites (fractional):
Co: 0.0000 0.0000 0.0000
Co: 0.0097 0.3403 0.3325
Co: 0.0743 0.6618 0.6843
Co: 0.5184 0.1930 0.6363
Co: 0.5466 0.5028 0.0059
Co: 0.5669 0.8576 0.3177
O: 0.2182 0.3699 0.5563
O: 0.2388 0.7010 0.8965
O: 0.7223 0.7871 0.0973
O: 0.7320 0.1486 0.4236
O: 0.8244 0.3065 0.1046
F: 0.2301 0.0367 0.2265
F: 0.3151 0.5382 0.2413
F: 0.3401 0.8755 0.5560
F: 0.3413 0.2119 0.8934
F: 0.7304 0.4703 0.7585
F: 0.8254 0.9783 0.7524
F: 0.8343 0.6535 0.4504
-- stop --

Could be a great Captain Marvel
Could be a perfect Lisbeth Salander
Could be a great Spider Woman

>tfw no gold star bodyguard gf

so is xxx3 actually good?